# 1
A relaxed structure of AcPmY6. Source: the Alexandria database, functional GGA-PBE.

## Properties
* volume: 37.7 Å³ per atom
* calculated formation energy: 0.393 eV/atom
* density: 4.984 g/cm3
* density of states at the Fermi level: 2.075 states/eV/atom
* energy: -89.00 eV per cell
* E above lowest polymorph: 248.9 meV per atom
* crystal system: monoclinic

Geometry as CIF:
```
data_AcPmY6
_space_group_name_H-M_alt 'C 1 2/m 1'
_space_group_IT_number 12
_cell_length_a 9.727
_cell_length_b 7.052
_cell_length_c 9.023
_cell_angle_alpha 90.00
_cell_angle_beta 102.86
_cell_angle_gamma 90.00
loop_
_space_group_symop_operation_xyz
'x,y,z'
'-x,-y,-z'
'-x,y,-z'
'x,-y,z'
'x+1/2,y+1/2,z'
'-x+1/2,-y+1/2,-z'
'-x+1/2,y+1/2,-z'
'x+1/2,-y+1/2,z'
loop_
_atom_site_label
_atom_site_fract_x
_atom_site_fract_y
_atom_site_fract_z
Ac1 0.000 0.000 0.000
Pm1 0.000 0.500 0.500
Y1 0.122 0.500 0.919
Y2 0.215 0.260 0.300
```



# 2
A relaxed structure of Ca2MoP. Source: the Alexandria database, functional GGA-PBE.

## Properties
* volume: 20.3 Å³ per atom
* calculated formation energy: 0.333 eV/atom
* density: 4.231 g/cm3
* density of states at the Fermi level: 0.778 states/eV/atom
* energy: -37.82 eV per cell
* crystal system: tetragonal

Geometry as CIF:
```
data_Ca2MoP
_space_group_name_H-M_alt 'I 4/m m m'
_space_group_IT_number 139
_space_group_name_Hall '-I 4 2'
_cell_length_a 4.256
_cell_length_b 4.256
_cell_length_c 8.972
_cell_angle_alpha 90.00
_cell_angle_beta 90.00
_cell_angle_gamma 90.00
loop_
_atom_site_label
_atom_site_fract_x
_atom_site_fract_y
_atom_site_fract_z
Ca1 0.000 0.500 0.250
Mo1 0.000 0.000 0.000
P1 0.000 0.000 0.500
```



# 3
A relaxed structure of LiYCoSe2. Source: the Alexandria database, functional GGA-PBE.

## Properties
* formation energy (no corrections): -0.261 eV per atom
* volume: 22.4 Å³ per atom
* density: 4.635 g/cm3
* density of states at the Fermi level: 0.690 states/eV/atom
* energy: -23.76 eV per cell
* crystal system: tetragonal

Geometry as CIF:
```
data_LiYCoSe2
_space_group_name_H-M_alt 'P 4/m m m'
_space_group_IT_number 123
_space_group_name_Hall '-P 4 2'
_cell_length_a 4.929
_cell_length_b 4.929
_cell_length_c 4.611
_cell_angle_alpha 90.00
_cell_angle_beta 90.00
_cell_angle_gamma 90.00
loop_
_atom_site_label
_atom_site_fract_x
_atom_site_fract_y
_atom_site_fract_z
Li1 0.000 0.000 0.000
Y1 0.500 0.500 0.000
Co1 0.500 0.500 0.500
Se1 0.000 0.500 0.500
```



# 4
A relaxed structure of K2CaPt. Source: the Alexandria database, functional GGA-PBE.

## Properties
* volume: 47.1 Å³ per atom
* calculated formation energy: -0.033 eV/atom
* density: 2.760 g/cm3
* density of states at the Fermi level: 0.191 states/eV/atom
* energy: -41.48 eV per cell
* E above lowest polymorph: 222.8 meV per atom
* crystal system: tetragonal

Geometry as CIF:
```
data_K2CaPt
_space_group_name_H-M_alt 'I -4 2 d'
_space_group_IT_number 122
_space_group_name_Hall 'I -4 2bw'
_cell_length_a 11.721
_cell_length_b 11.721
_cell_length_c 5.490
_cell_angle_alpha 90.00
_cell_angle_beta 90.00
_cell_angle_gamma 90.00
loop_
_atom_site_label
_atom_site_fract_x
_atom_site_fract_y
_atom_site_fract_z
K1 0.111 0.250 0.125
Ca1 0.000 0.000 0.500
Pt1 0.000 0.000 0.000
```



Q: Which of these has the lowest energy?
A: AcPmY6

~~~~~

# 1
Compound: HfAl2Ag
Source: Alexandria via LeMat-Bulk
Functional: PBE
Structure: relaxed

```
4
Lattice="-2.429 -1.069 1.535 1.849 -1.753 1.706 0.694 5.583 4.985" Properties=species:S:1:pos:R:3 pbc="T T T"
Hf 0.057 1.380 4.113
Al 0.530 4.269 3.812
Al 0.163 1.313 1.173
Ag -0.290 -1.411 1.620
```

Summary:
- symmetry = P4/mmm, No. 123
- distance to the lowest polymorph of the same formula (meV/atom) = 63
- formation energy (eV/atom) = -0.219
- crystal system = tetragonal
- calculated total energy (eV/cell) = -21.16

# 2
Compound: CrCuSi
Source: Alexandria via LeMat-Bulk
Functional: PBE
Structure: relaxed

```
3
Lattice="4.661 -0.001 0.002 2.650 3.835 -0.002 -3.345 -2.510 2.059" Properties=species:S:1:pos:R:3 pbc="T T T"

Say how many lines of the data earlier on hold the word "K2CaPt", as a bare number.

1